Monday, December 31, 2007


Well everybody, I hope you have set your alarm clocks. We are into the countdown to 2008 and it could hardly be better. I am not able to tell you too specifically why beyond saying that things are just so remarkably enjoyable even at this very moment as I type this, you wouldn't believe me even if I could be more specificd.
Um, how specific can I be? Well, the things I had hoped for so long are all around me. And the people who make them possible are as kind and generous and sweet and loving as your wildest dreams could conjur. And in some sense, I have to say thank you to someone who indirectly helped bring all this together by trying to kill me a few months ago.
Rage does strange things to people. It is scary. And in the aftermath, there are doubts and attempts to soften the shock. None of that matters now. She has a bright red coat and a closet full of costumes. Her fantasies come true every month or so by long-distance. All that twisted sense of dreams fulfilled is also waaay past my caring now.
Instead, I see, although not yet clearly, at least so much more brightly than I could a year ago. I am on what you might call the receiving end of bliss. And what could be a better way to start the new year?
I think a toast is in order!. Ladies and gentlemen, I give you: Peace of mind, good health, happiness, love returned, caring and sharing. They are all out there, and this is even before the new year has nice is that?

Wednesday, December 26, 2007

No. 1
Structure and simulated X-ray powder pattern of SrZn5 (a crystal structure in the Materials Project, relaxed with PBE; Cu Kα).
Intensities are scaled so that the largest is 100.

Principal peaks in the range 2θ = 10–80°, in order of falling intensity:
2θ/deg	d_spacing	I/Imax
38.55	2.335	100
37.09	2.424	33
42.99	2.104	31
42.68	2.118	27
61.40	1.510	24
31.97	2.799	23

Structural model:
```
data_SrZn5
_chemical_formula_sum 'Sr1 Zn5'
_symmetry_space_group_name_H-M 'P 1'
_symmetry_Int_Tables_number 1
_cell_length_a 5.598
_cell_length_b 5.598
_cell_length_c 4.237
_cell_angle_alpha 90.00
_cell_angle_beta 90.00
_cell_angle_gamma 120.00
loop_
_symmetry_equiv_pos_as_xyz
'x,y,z'
loop_
_atom_site_label
_atom_site_type_symbol
_atom_site_fract_x
_atom_site_fract_y
_atom_site_fract_z
Sr1 Sr 0.000 0.000 0.000
Zn1 Zn 0.000 0.500 0.500
Zn2 Zn 0.333 0.667 0.000
Zn3 Zn 0.500 0.000 0.500
Zn4 Zn 0.500 0.500 0.500
Zn5 Zn 0.667 0.333 0.000
```



No. 2
Structure and simulated X-ray powder pattern of Na2NdPCO7 (a crystal structure in the Materials Project, relaxed with PBE; Cu Kα).
Intensities are scaled so that the largest is 100.

Principal peaks in the range 2θ = 10–80°, in order of falling intensity:
2θ/deg	d_spacing	I/Imax
15.54	5.703	100
21.06	4.218	96
24.90	3.576	81
25.68	3.470	80
25.16	3.540	59
34.34	2.611	47

Structural model:
```
data_Na2NdPCO7
_chemical_formula_sum 'Na4 Nd2 P2 C2 O14'
_symmetry_space_group_name_H-M 'P 1'
_symmetry_Int_Tables_number 1
_cell_length_a 5.224
_cell_length_b 7.152
_cell_length_c 9.453
_cell_angle_alpha 90.00
_cell_angle_beta 91.15
_cell_angle_gamma 90.00
loop_
_symmetry_equiv_pos_as_xyz
'x,y,z'
loop_
_atom_site_label
_atom_site_type_symbol
_atom_site_fract_x
_atom_site_fract_y
_atom_site_fract_z
Na1 Na 0.229 0.006 0.207
Na2 Na 0.229 0.494 0.207
Na3 Na 0.771 0.506 0.793
Na4 Na 0.771 0.994 0.793
Nd1 Nd 0.241 0.250 0.623
Nd2 Nd 0.759 0.750 0.377
P1 P 0.290 0.750 0.588
P2 P 0.710 0.250 0.412
C1 C 0.268 0.250 0.925
C2 C 0.732 0.750 0.075
O1 O 0.044 0.250 0.860
O2 O 0.167 0.573 0.650
O3 O 0.167 0.927 0.650
O4 O 0.246 0.750 0.422
O5 O 0.297 0.250 0.058
O6 O 0.414 0.250 0.388
O7 O 0.468 0.250 0.840
O8 O 0.532 0.750 0.160
O9 O 0.586 0.750 0.612
O10 O 0.703 0.750 0.942
O11 O 0.754 0.250 0.578
O12 O 0.833 0.073 0.350
O13 O 0.833 0.427 0.350
O14 O 0.956 0.750 0.140
```



No. 3
Structure and simulated X-ray powder pattern of Rb2NbCuS4 (a crystal structure in the Materials Project, relaxed with PBE; Cu Kα).
Intensities are scaled so that the largest is 100.

Principal peaks in the range 2θ = 10–80°, in order of falling intensity:
2θ/deg	d_spacing	I/Imax
25.47	3.497	100
27.34	3.262	60
31.12	2.874	53
39.07	2.306	49
14.57	6.079	48
34.52	2.598	41

Structural model:
```
data_Rb2NbCuS4
_chemical_formula_sum 'Rb4 Nb2 Cu2 S8'
_symmetry_space_group_name_H-M 'P 1'
_symmetry_Int_Tables_number 1
_cell_length_a 5.607
_cell_length_b 7.467
_cell_length_c 12.477
_cell_angle_alpha 85.16
_cell_angle_beta 77.02
_cell_angle_gamma 67.95
loop_

Annus Notsobadus

On one hand, 2007 will go down as a year of dubious note for all the bad things that happened. On the other hand, however, it certainly is closing out on an upbeat note. It's not good to make comparisons, but I can't help but look back on events of the past three months as outstanding in a nice way, after things like death and destruction, blindness, poverty and despair in the first three or so. The middle has become a soft blurr, which is just as well.
So now, we set the table, adding some Oshogatsu touches (The new year will be the year of the mouse or rat, if you are keeping track.), and prepare for quiet, happy times. We'll have a toast to the tail end of the old year and another toast, perhaps with honey or jam, to the year to come. And since I am the optimist of the bunch, I will work on the idea that if things are this good already, they must be about to get even better. Let's see if we can make that happen.
Oh, I didn't forget the gingerbread recipe. It was very good gingerbread, according to authoritative sources, so I will post the recipe after the new year. We're too busy getting ready to tuck in to a raspberry pound cake and some nice spicy Korean barbecue. But we'll get back to you in the new year. Happy holidays to all, and to all a good night.

Friday, December 14, 2007

Christmas Colors

Counting down from today, we have just 10 days until Christmas eve. That will be a special day here (partly because Christmas day is a working day in Japan, unfortunately). It seems most of what I cook these days looks like the Christmas decorations. Tonight's salad, for example, was dark green leafy stuff with baby tomatoes and red and green peppers and white Mozarella. The dessert was fresh strawberries with yogurt and honey. So, to keep a sense of balance not to look like Italian nationalists or Santa's workshop, I made chicken-vegetable stew and garlic toast--which is a great way to recycle old French bread.
Yesterday, I made ginger bread, using a great-grandmother recipe out of Germany, which includes applesauce, but modified with my sense of Asia, using fresh-grated ginger root and, instead of allspice, cardamom, cloves and more cinnamon. And instead of dark molasses, I used kuro mitsu. That's a kind of black molasses, and the flavor....well, the result was pretty good, by my standard. I will get a second opinion from my special friend and let you know. And if she likes it, I will post the recipe. If not..... well, let's see how it goes.

Wednesday, December 12, 2007


I received a sweet pre-Christmas present today: Blueberry muffins. These muffins are special because they were made by a special person. Besides that, I know how she made them, and it is pretty clever, especially for people who may not have or want to buy all the parts to make muffins from scratch. She used pancake mix. And because blueberries are very expensive and not easy to find in Japan at this time of the year, she used dried fruit, soaked in hot water, then sweetened with honey. Very nice.
I appreciate her thoughtfulness and her muffins. At Christmas, people sometimes give gifts or get involved in gift-exchange things without knowing what to give. My advice, if I may offer it, when you are not sure what to give, is to give something you would like to receive. That has an element of the Golden Rule to it, I suppose, but in the worst case, that person will know you have good taste!
Another thought, especially about gift-exchange giving, is to give a few small things, rather than one big one. For example, one friend told mer her office will exchange gifts, and people were told to keep the price within 2,000 yen, or about US$20. Well, that does not buy much in Tokyo these days. It seems that nice and clever gifts can be found from about 1,000 yen and less, and for more than 2,000 yen, but not for 2,000. So I suggested that she buy a 1,000 yen gift, plus some 100 yen gifts to put in a nice bag. Things like bath salts, or sachets or potpouri fragrance things are good. Wine is another nice gift, and even if the person who receives it doesn't drink, they can recycle the wine to someone who does.
So, I'm having coffee and a blueberry muffin now, and saying thank you to the chef!

Tuesday, December 11, 2007


That huge wad of roses, pine boughs and cotton bolls was just too formidable for the table, so I made some adjustments. What do you think? My dear muffin-making friend says it looks more like a New Year decoration than a Christmas arrangement, but that's alright, because I will need a New Year decoration too. One nice thing about being a foreigner in Japan is that I have the choice of holidays, and I like to observe Japanese events as well as those more familiar to me.
One thing we discussed is the similarity of some events across cultures. Halloween and Thanksgiving come about the same time as the Day of the Dead or Diwli or Obon and similar harvest-time, ghost-welcoming, spirit-honoring, ancestor-revering events in other parts of the world. Christmas and Kwanzaa and Hanukkah come at about the same time, and though they obviously honor different events, some of the customs associated with those holidays are similar, so it is no problem to observe a Jewish festival (which, by the way, ends tomorrow) of light, as well as Christmas and Kwanzaa, the African harvest festival, from Dec. 26, or Norooz from the start of the new year. I was never quite sure what Boxing Day was all about (I thought it was some kind of sports day when I was a kid in Indiana. We obviously didn't get out much.)
So the decorations don't matter too much. Some all-purpose combination of cotton and roses and pine should do for all of them plus any others I don't know about. The important thing at these times is to think of the idea of sharing and respecting each other and basically trying harder to live by the Golden Rule (or whatever you choose to call it in your culture.) All seem to have the same fundamental notion, which is simply this: "Treat others as you would like them to treat you."
As the Dalai Lhama put it, "If you want others to be happy, practice compassion. If you want to be happy, practice compassion."
This holiday season is as good a time as any to put that into practice, don't you think?
Have some of the good feeling of Why Don't You and I, live:

Monday, December 10, 2007

Cho-Choju Giga

The Suntory Gallery, in Tokyo's new Midtown shopping-office-malling complex, is about to wrap up a fascinating look at what might well have been the first manga, ink illustrations on scrolls, some of which date from the 12th century. The oldest of the illustrations depicts animals doing things people would do-- or would have done 700 or 800 years ago. Most of the scenes involve frogs and rabbits, and you know this is a fantasy, because the frogs are as big as the rabbits, for one thing.
There are other scrolls that show some more straightforward illustrations, such as sketches of religious activities or fables dealing with Buddhism, and even a sequence of what to put it gently might be called an ancient farting contest.
The exhibit drew upon sets of these illustrations compiled by temples and other galleries and museums, and some illustrations that were not included in the scrolls. Historians are still trying to figure out who did the illustrations and why, but they have come up with some guesses and pieced together the illustrations based on what is known so far.
We particularly liked the sumo competition, in which the frog, who has a tummy much like mine, is decked by a fox. There are illustrations of rabbits who might have been the inspiration for the Uncle Remus Br'er Rabbit stories, and pompous priest frogs and wild boars and monkeys giving each other baths--something Japanese monkeys actually do at hot spring resorts, without having to pay.
Viewing the whole exhibit was out of the question, since some of the scrolls were rolled up to reveal other illustrations a week at a time, so it would have involved going back to the gallery weekly.
There are stories, or fables, to go with some of the illustrations, something like Aesop's fables, only more to do with things like a mouse who wanted to marry a human princess, or the farmer who gave up his daughter to a monkey who agreed to help him till his paddies. It's more interesting to see than to write about. But here is what you missed (or will miss unless you get there by Dec. 12.)

Wednesday, December 05, 2007


Quomodo Invidiosulus nomine Grinchus Christi natalem abrogaverit . Or almost.

Sunday, December 02, 2007

A Brunchtime Journey

"Eat breakfast like a king, lunch like a prince, and dinner like a pauper."

This being Dec. 2, another less day before Christmas, I was thinking about the Advent calendar. And this being Sunday, breakfast was brunch. This is a custom I had not observed for several months, until recently, when I found myself making it for two again after coffee and cake in bed to wake up with. A good brunch is the start of a good day.
I was inspired today by an idea from my dear friend: Papaya fruit boats. Actually, my little papayas from Okinawa were only big enough for fruit kayaks, but, as she said, even a kayak can let you sail on a journey wherever you want to go.
I thought about that and about a comment from noted food person Julia Child, who said "You don't have to cook fancy or complicated masterpieces - just good food from fresh ingredients." So I made a fancy omelette to go with the papaya kayaks, croissant, orange juice and coffee and thought about where I would like my kayaks to take me.
The destination is Negril, Jamaica. There, you may find some of the best food in the world and, as Julia suggested, made from fresh ingredients. So, in the days before Christmas, since I am back in the mood for food and for taking the time to fix it, I will steal some ideas from the menu of Negril's Rockhouse restaurant, a particularly good place to dine well without spending too much. As my dear friend and I agree, it is much more enjoyable to make food to share with someone than to dine alone. We seem to bring out the culinary creativity in each other, which, I believe, is a fine quality.
You can see the menu here:
And learn more about Negril here:

And, while Advent calendars are usually for kids, they are not exclusively for kids. I think grownups will get a kick out of trying the quizzes on the interactive Advent calendar. And keep in mind the 24 days of Advent are not like the 12 Days of Christmas, which come AFTER Christmas day. Confused? Well, life is like that.

Saturday, December 01, 2007

Another Day Before Christmas

I did a bit of Christmas shopping yesterday and at one of the shops, I asked the clerk whether she had gone nuts yet by constant exposure to the same Christmas carols on the background music.
''Not quite, but I think it will happen soon,'' she said.
And I agree, which is why one of the Christmas presents I got myself -- ahead of schedule -- is a little Sony Walkman MP3 player, so I can listen to something other than Christmas carols when I am out of the comfortable confines of home. So I thought it would be nice to see what songs you would rather listen to than Deck the Halls or Jingle Bells ten zillion times.
Here's a little inspiration I got from Youtube:

As an aside, I am also trying not to get too caught up in Christmas food just yet either. I will do that when it gets down to a handful of days before. But for now, simple fare, such as what's in the picture here (pork chops, potatoes, peas and corn, a salad and some wine, from last night, or the beef stew that's simmering now, will do just fine.
Bon Apetit.